Lavender Essential Oil for Pain Relief

Lavender Essential Oil for Pain Relief

Lavender Essential Oil for Pain Relief: All-Natural BullRyder Body Balm™ Active Ingredient

Benefits: muscle pain relief, reduces inflammation, reduces pain from rheumatism, helps relieve hypertension, offers pain relief for muscle aches and strains, and reduces swelling (edema)

Botanical Name: Lavandula angustifolia
Method of Extraction: steam distilled
Parts Used: Flower Tops
Country of Origin: USA
Cultivation Method: Farmed / Organic

The most famous essential oil for pain relief and relaxation is lavender (Lavandula officinalis, L angustifolia, L vera.) Distilled from the flowering tops, the best lavender oil comes from Bulgaria, France, and England although it can be grown all over the world. Lavender has a long list of applications for skin because of its anti-inflammatory and cell regenerating properties. The lavender essential oil in our all-natural BullRyder Body Balm™ pain relief formula is also antimicrobial, anti-infectious and antiseptic, making it effective in the treatment of wounds and as a frontline defense against respiratory infection. It is tonic to the cardiovascular and systems and lowers blood pressure. Lavender is used for muscle spasm, sprain, strain, cramp, contracture and rheumatic pain. Additionally, the lavender essential oil in our all-natural BullRyder Body Balm™ pain relief formula is a sedative for the central nervous system and relieves headache, nervous tension, and insomnia and can also help balance mood swings. Because of lavender’s many therapeutic properties like pain relief, if one had to choose only one essential oil, many would choose lavender. In addition to all the above effects, it also takes the itch out of insect bites and helps heal sunburn.

Note: Lavender Essential Oil is but one component in our amazing all-natural BullRyder Body Balm™. Each of the active ingredients in our unique blend has exceptional pain relieving qualities alone but, in combination, the pain relieving qualities of each works synergistically with the others to produce an extraordinary pain relief salve whose unique formula was developed by Dr. Joie Power. The ten active ingredients in our all-natural BullRyder Body Balm™ include Essential Oils of: Balsam Poplar, Sweet Birch, Cajuput, Eucalyptus Globulus, Silver Fir, Helichrysum, Lavender and Plai plus St. John’s Wort Oil and Capsaicin.

by Joie Power, Ph.D.

LATIN NAME:  Lavandula angustifolia (aka L. Vera; L. officinalis)
FAMILY:  Labiatae

DESCRIPTION/HABITAT: True lavender (Lavandula angustifolia) is one member of a genus of 39 species of flowering plants of the mint family (Labiatae) that are considered “lavenders” and it is important not to confuse “true” lavender with other members of the Lavandula genus as their actions and properties are distinctly different. The Lavandula genus includes annuals, woody perennials and small shrubs. Lavandula angustifolia is a small, evergreen woody herb reported by most sources to be native to southern Europe and the Mediterranean region, tropical areas of Africa, southern India, and the area around modern day Iraq. Today, it is in medicinal use by indigenous people in Mexico, outside its region of origin, where it is mixed with the native Heimia salicifolia together with Tagetes lucida, and Rosmarinus officinalis as a bathing preparation used to aid women who are infertile (Ratsch, C., The Encyclopedia of Psychoactive Plants, Park Street Press, 1998, p. 267). It seems logical that the plant would have been introduced by invading Europeans who brought it with them.

PARTS USED:  The essential oil is distilled from the flower stalks and flowers. The best quality oil is distilled from just the flowers which are stripped from the stalks. In herbal medicine, the fresh or dried flowers are used in infusions, tinctures, or macerated oils. The fresh or dried flowers are also used in cooking and impart a delicious, distinctive flavor to cookies, sauces, and other dishes.

HARVESTING AND EXTRACTION: Flowers stalks are harvested in full bloom and during the hottest part of the day. The best oils come from flowers that are distilled immediately, with no drying or fermentation since fresh lavender yields more esters. The altitude of the distillery also influences the ester content due to the fact that water boils at a lower temperature at high altitudes and a lower distillation temperature captures and preserves esters.
An absolute and concrete of lavender are also produced by solvent extraction for use in perfumery but are not used in aromatherapy.

CHARACTERISTICS: Lavender oil is clear and colorless to pale yellow or yellowish green. It has a sweet, floral-herbaceous scent. Lavenders with noticeable camphor have a sharper, more penetrating smell. It feels slightly slick between the fingers and absorbs quickly. The taste is somewhat camphoraceous and sharp.

BLENDING: Lavender essential oil has wonderful aromatic properties and blends well with most other essential oils, especially citrus and floral oils. It can aid in blending some challenging aromas, such as patchouli, pine, and tea tree. It helps also to soften the impact of oils that may be too stimulating for some people, such as rosemary or eucalyptus.

ACTIVE CONSTITUENTS:  This is a complex essential oil with over 100 constituents including linalyl acetate, linalool, lavandulol, lavandulyl acetate, terpineol, cineol, limonene, ocimene, pinene, caryophyllene, linalyl butyrate, geranyl acetate, camphor, coumarin, etc. The essential oils of lavender with a high ester content and relatively low cineol and camphor are preferred; French lavenders grown above 2000 feet yield these profiles if properly distilled.

FREQUENTLY CITED THERAPEUTIC ACTIONS:  analgesic, antibacterial, antifungal, anticonvulsive, antidepressant, anti-inflammatory, antimicrobial, antirheumatic, antiseptic, antispasmodic, antitoxic, antitussive, calming/sedative, carminative, cholagogue, cicatrisant, cytophylactic, deodorant, diuretic, emmenagogue (mild), hypotensive, immune stimulant (leukocytosis), insecticide, nervine, stimulant (dose related), pulmonary antiseptic; sudorific, stomachic, sudorific, tonic (cardio and nervine), vulnerary, increases gastric secretions and peristalsis

FREQUENTLY CITED USES:  External: abscesses, abdominal cramps, acne, anxiety, athlete’s foot, arthritis, boils, bronchitis, bruises, burns, catarrh, cellulite, colds/flu, colic, dandruff, debility, depression, dermatitis/eczema, dysmenorrheal, flatulence, headache, hypertension, insect bites, insomnia, leucorrhoea (intra-vaginal use not recommended except with professional supervision), muscular aches and pain, neuralgia, psoriasis, rheumatism, scalds, scanty periods, scars, sinus congestion/infection, sores, spasmodic coughing, sprains, stress, sunburn, thread veins, toothache, minor wounds

Lavender essential oil is described as one of the most versatile essential oils and a wide range of therapeutic uses is reported. It is described as having outstanding cooling, soothing, and calming properties which make it useful in conditions involving inflammation, spasm, pain and restlessness. Lavender can be used alone but, like all essential oils, may be optimally effective when used in a blend.  NOTE: LAVENDER MUST BE USED IN THE APPROPRIATE DOSE TO ACHIEVE BEST RESULTS. 4 DROPS OR LESS PER APPLICATION PRODUCES A RELAXING, BALANCING EFFECT.  WHEN MORE THAN 4 DROPS ARE GIVEN IN A TWO HOUR PERIOD, LAVENDER MAY LOOSE ITS BALANCING AND CALMING EFFECT AND CAN BECOME TOO STIMULATING, LEADING TO RESTLESSNESS AND ANXIETY.

Lavender essential oil is credited with being a welcome component in remedies for colds/flu and other respiratory conditions because of its reported abilities to fight infection, support the immune system, ease muscle and joint aches, reduce inflammation, relax the mind and body, and quell restlessness. It is said to help the body to rest and heal and to overcome exhaustion. For colds and flu, it has been recommended to blend lavender with marjoram to help relieve body aches and with eucalyptus to fight infection and help clear the respiratory system. A mixture of lavender and tea tree oil put in the diffuser is said to help prevent the spread of infection. Inhalations of lavender, tea tree, eucalyptus and lemon may help clear the patient’s head and nose and fight infection in the whole respiratory system (make a mixture of 2 parts lavender essential oil to one part of any or all of the other ingredients and put 1 to 3 drops of this mixture into a bowl of steaming water; the aroma should be barely detectable; repeat as desired at 3 hour intervals). A “massage” oil made by blending 4 drops of lavender and 2 drops of marjoram in a tablespoon of carrier oil (such as grapeseed oil) and applied gently to the body, especially around the joints, may help to relieve the body pain and aches that can accompany colds and flu. Do not actually “massage” someone who has a cold, the flu, or other respiratory infection – just gently rub a little of the “massage” oil into the skin, either where there is pain or on the chest and throat, where the vapors will rise towards the face and be inhaled. If the patient is strong enough for a warm bath, 4 drops of lavender and 2 drops of marjoram can be mixed in a tablespoon of whole milk or honey and added to the bath water. Take care when bathing a person who is weak and debilitated – fainting can occur easily and without warning.  Lavender also blends well with Ravensara and this combination may be useful in cases of colds/flu and other respiratory infections.

Lavender has been described as having remarkable balancing effects on the central nervous system (provided it’s used in proper doses, as noted above) and as being an outstanding choice for people who are suffering from stress, tension, insomnia, nervous exhaustion and related depression. It is described as calming and soothing to the nervous system and the body-mind and its reputed tonic properties are believed to help overcome exhaustion and apathy. Lavender blended with Frankincense may help to overcome fatigue and nervous exhaustion. Its calming and sedative properties are said to be enhanced by combining it with other reportedly calming oils such as Roman chamomile, marjoram, and neroli. Citrus oils and other floral oils are believed to enhance its ability to uplift the spirit and combat depression. A beautiful blend for nervous exhaustion can be made with lavender, frankincense, and petitgrain.

Lavender essential oil is widely used for all kinds of muscular aches and pains and arthritis. It combines well for these purposes with German chamomile, Roman chamomile, cajuput, eucalyptus, and marjoram. For menstrual cramps and other pain caused by smooth muscle spasm (such as stomach cramps or gall bladder pain), try a combination of lavender, bergamot, Roman chamomile and a smaller amount of peppermint applied as a warm compress (put three drops of your mixture in a soup bowl of warm water, soak a clean rag in this, wring it out and apply it over the abdomen). When using essential oils in a warm (never hot) compress be sure to monitor for skin irritation, since heat increases the potential for this. Although some practitioners advise covering the compress with plastic wrap, I prefer to use a clean, dry towel. Or, blend a few drops of this mixture with a vegetable oil at proper dilutions and applied over the painful area.

A single drop of lavender rubbed on each temple or the base of the skull is often reported as being effective for relieving headaches, including migraines – some, but not all, people reportedly get better results from 1 drop of lavender combined with 1 drop of peppermint; this is one of the rare applications where essential oils are used undiluted.

SELECTED RESEARCH:  Note: Proper evaluation of research findings is a complex process which requires appropriate training in research design and methodology as well as statistics. Many variables may confound an investigation’s results and limit the applicability or generalization of results. In any field of research one will find conflicting results and one way in which scientists attempt to resolve and understand these conflicts is by evaluating the appropriateness of the project’s design and execution.  In the field of aromatherapy, one thing that has especially hampered attempts to reconcile conflicts in research findings is that investigators rarely specify the source of the essential oils used in their study and since the quality of essential oils varies greatly and has an enormous impact on the results achieved this is a significant problem. Another problem in determining the actions and efficacious uses of essential oils arises from the fact that a significant amount of what is described in references on aromatherapy has been taken either from tradition or research in the broader field of herbal medicine and is based on the actions and uses of other herbal preparations (such as teas, tinctures or whole herbs) of the plants in question. Also, many studies cited in the aromatherapy literature have been based on individual components (so-called “active constituents) isolated from whole essential oils. While these types of studies are not without merit, I have purposely chosen to limit this section to studies that have employed whole essential oils. This section is by no mean exhaustive.

Moss M, Cook J, et al, Aromas of Rosemary and Lavender Essential Oils Differentially Affect Cognition and Mood in Healthy Adults, International Journal of Neuroscience, Vol. 113, Issue 1, Jan. 2003, pp. 15-38: Results suggest that olfactory presentation of lavender essential oil decreased performance on cognitive tasks while rosemary oil produced mixed results (performance on some measures was enhanced compared to controls while on other measures it was degraded); the rosemary group was found to have greater alertness than the control or lavender groups, while both the lavender and rosemary groups reported better mood than controls. The authors conclude that the olfactory properties of essential oils can produce objective effects on cognitive performance and subjective effects on mood.

Buchbauer G, Jirovetz L , et al, Aromatherapy: evidence for the sedative effects of the essential oil of lavender after inhalation, Naturforsch C. 1991, Nov-Dec; 46 (11-12): pp 1067 – 72. Inhalation of lavender e.o. was found to reduce caffeine-induced hyperactivity in mice to near-normal motility. The reduction showed a correlation with serum linalool levels and the authors conclude that the study provides support for the aromatherapeutic use of herbal pillows to facilitate falling asleep and to reduce stress.

Saeki Y The effect of foot-bath with or without essential oil of lavender on the autonomic nervous system: a randomized trial. Complimentary Therapies in Medicine, 2000, Vol. 8, Issue 1, pp.2 – 7 Subjects sat with their feet soaking in hot water, with or without lavender essential oil, for ten minutes during which electrocardiogram, finger-tip blood flow and respiration were recorded; autonomic function was evaluated using spectral analysis of heart rate variability. The foot baths caused no changes in heart rate or respiratory rate but produced a significant increase in blood flow. On spectral analysis, the parasympathetic activity increased significantly during both types of foot-bath. In the lavender foot-bath, there were delayed changes to the balance of autonomic activity in the direction associated with relaxation.

Soden K, Vincent K, et al A randomized controlled trial of aromatherapy massage in a hospice setting. Palliative Medicine, 2004, Vol. 18, No. 2, 87-92. Forty-two patients were randomly assigned to receive massage with or without lavender essential oil added to the inert massage base. Outcome measures include a Visual Analog Scale of pain intensity, a sleep scale, an anxiety and depression scale, and symptom checklist. No significant long-term effects were found for lavender essential oil in terms of improving pain control, anxiety or quality of life. Sleep scores improved in both groups and depression scores improved in the massage-only groups. The authors conclude that lavender essential oil did not increase the beneficial effects of massage.

Bardeau F. Utillisation d’HE aromatiques pour purifier et desodoriser l’air (Use of essential aromatic oils to purify and deodorize the air). Le Chirurgien-dentiste de France, 1976, Sept 29; 46 (319): 53 Vaporized essential oils and their capacity to destroy bacteria such as Proteus, Staph. Aureus, Strep. Pyrogenes and others were examined. Oils which were found to be the most effective in destroying air borne bacteria included clove, lavender, lemon, marjoram, mint, niaouli, pine, rosemary, and thyme.

Piccaglia R, Deans S G, et al Biological activity of essential oils from lavender, sage, winter savory, and thyme of Italian origin. 1993 Programme Abstracts 24th International Symposium on Essential Oils. The oils were tested for antimicrobial activity against 25 species including food poisoning types and human disease pathogens. All oils showed good activity against the majority of the bacteria. Lavender was most effective against Clostridium sporogenes.

Imberger I, Rupp J, et al. Effect of Essential Oils on Human Attentional Processes 1993 Programme Abstracts 24th International Symposium on Essential Oils.  The authors investigated the effects of inhaled jasmine and lavender on human attentional processes. The excitatory effects of jasmine and sedative effects of lavender were clearly indicated in the results of vigilance tests. No effects were demonstrated regarding alertness as measured by reaction time.

-- Calculated crystals, as found in the file --
____________
(1)
ErCdCu4: optimized geometry, r2SCAN.

Summary:
energy of formation from the pure elements = -1.62 eV/f.u.
electronic total energy = -16.51 eV per atom
total magnetic moment = 0.000 μB/atom

The structure in CIF format:
```
data_ErCdCu4
_symmetry_space_group_name_H-M 'F -4 3 m'
_symmetry_Int_Tables_number 216
_symmetry_space_group_name_Hall 'F -4 2 3'
_cell_length_a 7.112
_cell_length_b 7.112
_cell_length_c 7.112
_cell_angle_alpha 90.00
_cell_angle_beta 90.00
_cell_angle_gamma 90.00
loop_
_atom_site_label
_atom_site_type_symbol
_atom_site_fract_x
_atom_site_fract_y
_atom_site_fract_z
_atom_site_occupancy
Er1 Er 0.000 0.000 0.000 1
Cd1 Cd 0.250 0.250 0.750 1
Cu1 Cu 0.124 0.124 0.376 1
```

=====

(2)
Er2CdCu2: optimized geometry, r2SCAN.

Summary:
energy of formation from the pure elements = -1.67 eV/f.u.
electronic total energy = -22.26 eV per atom
total magnetic moment = 0.000 μB/atom

The structure in CIF format:
```
data_Er2CdCu2
_symmetry_space_group_name_H-M 'P 4/m b m'
_symmetry_Int_Tables_number 127
_symmetry_space_group_name_Hall '-P 4 2ab'
_cell_length_a 7.407
_cell_length_b 7.407
_cell_length_c 3.669
_cell_angle_alpha 90.00
_cell_angle_beta 90.00
_cell_angle_gamma 90.00
loop_
_atom_site_label
_atom_site_type_symbol
_atom_site_fract_x
_atom_site_fract_y
_atom_site_fract_z
_atom_site_occupancy
Er1 Er 0.174 0.326 0.000 1
Cd1 Cd 0.000 0.000 0.500 1
Cu1 Cu 0.120 0.620 0.500 1
```

----------

*1*
16
Lattice="4.489 0.000 0.000 0.000 4.489 0.000 0.000 0.000 8.531" Properties=species:S:1:pos:R:3 comment="KMg6BO8, relaxed, DFT PBE-GGA" space_group="No. 123" rho_g_cm3=3.1 crystal_system=tetragonal pbc="T T T"
K 0.000 0.000 0.000
Mg 0.000 0.000 4.266
Mg 0.000 2.244 1.959
Mg 0.000 2.244 6.572
Mg 2.244 0.000 1.959
Mg 2.244 0.000 6.572
Mg 2.244 2.244 4.266
B 2.244 2.244 0.000
O 0.000 0.000 2.351
O 0.000 0.000 6.180
O 0.000 2.244 0.000
O 0.000 2.244 4.266
O 2.244 0.000 0.000
O 2.244 0.000 4.266
O 2.244 2.244 1.468
O 2.244 2.244 7.063

*2*
16
Lattice="4.666 0.000 0.000 0.000 4.666 0.000 0.000 0.000 7.935" Properties=species:S:1:pos:R:3 comment="KMg6BO8, relaxed, DFT PBE-GGA" space_group="No. 123" rho_g_cm3=3.1 crystal_system=tetragonal pbc="T T T"
K 0.000 0.000 0.000
Mg 0.000 2.333 2.035
Mg 0.000 2.333 5.899
Mg 2.333 0.000 2.035
Mg 2.333 0.000 5.899
Mg 2.333 2.333 0.000
Mg 2.333 2.333 3.967
B 0.000 0.000 3.967
O 0.000 0.000 2.608
O 0.000 0.000 5.327
O 0.000 2.333 0.000
O 0.000 2.333 3.967
O 2.333 0.000 0.000
O 2.333 0.000 3.967
O 2.333 2.333 1.983
O 2.333 2.333 5.951

What should be chosen as the least stable of them? Choose *1*.

*1*
31
Lattice="4.415 0.000 0.000 0.000 8.649 0.000 0.000 0.000 8.513" Properties=species:S:1:pos:R:3 comment="KMg14BO15, relaxed, DFT PBE-GGA" space_group="No. 25" rho_g_cm3=3.2 crystal_system=orthorhombic pbc="T T T"
K 0.000 0.000 0.000
Mg 0.000 0.000 4.255
Mg 0.000 2.088 2.187
Mg 0.000 2.099 6.316
Mg 0.000 4.324 8.502
Mg 0.000 6.550 6.316
Mg 0.000 6.561 2.187
Mg 2.208 0.000 2.138
Mg 2.208 0.000 6.375
____________

Dale A, Cornwall S The role of lavender oil in relieving perineal discomfort following childbirth: a blind randomized clinical trial. Journal of Advanced Nursing, 1994, 19:89-96. 635 women participated in a clinical trial to assess the possible benefits of adding lavender oil to daily bath water for the first 10 days following childbirth. Subjects were assigned to one of 3 groups: one in which 6 drops of lavender essential oil was added, one with the addition of an inert aromatic substance, and one with synthetic lavender oil. Analysis of daily discomfort scores showed no significant differences between the groups. The authors concluded that lavender essential oil was not effective in this application.

SAFETY DATA:  Lavender essential oil is generally considered non-toxic, non-irritant, and non-sensitizing in normal doses.  However, at least one author has reported that it can cause dermatitis (J.A. Duke, 1985, cited in Aromatherapy for Health Professionals by Shirley and Len Price, 2nd Edition, 1999). Also, as with most essential oils, the potential for skin irritation increases as the product oxidizes with age.

COMMENTS:  Lavender is relaxing at low doses (4 drops or less) but stimulating at higher doses. Also, when using it as an anti-inflammatory, use low concentrations (less than 1%) as in higher concentrations it may over-stimulate circulation. For muscular complaints use concentrations of 2 to 4%.

Gabriel Mojay calls it an “aromatic Rescue Remedy” because it acts to calm any strong emotion that threatens to overwhelm the Mind (Gabriel Mojay, Aromatherapy for Healing the Spirit, 1997).

The above Lavender Monograph is an excerpt from full article posted on Dr. Power’s website: Highlands School of Natural Healing.

© 2007-2014 by Joie Power, Ph.D.  No portion of this work may be reproduced for commercial purposes without written permission of the author.